Some car hit my car while I was parked at the mall, now the top part where the radiator support is at got push in, also the hood latch got push down. So should I try to pride the hood latch back into place and use a plastic mallet to hammer the top part of the radiator support back to normal? Also there screws on the part that got push in, can I remove that part? I am asking about this because I got quotes of $3000-5000 to repair this, they said they would need to replace the whole radiator support.
Hey do it your self. Though not new parts There will be no cost involved . I replaced all of the parts cheaper than was quoted
Yeah I was thinking that too, the top part where it has been damaged has screws on it, looks like I can remove it, and replace it with one from a Radiator support, but I probably have to buy the whole Radiator support to get that top part, which cost 300 bucks, but its better than $5000
Yes, you should be able to replace the upper radiator support; according to the repair manual, you must remove it to remove the radiator or the A/C condenser. You might have other parts bent too, maybe that is why you are getting the high estimate(s).
**Misplaced calculated crystals:**
Entry from Alexandria via LeMat-Bulk: Tl2AgTe6As2 after structural relaxation (PBE).

Output
E_form (uncorrected): -0.03 eV per atom
calculated total energy: -3.283 eV/atom
D(E_F): 0.565 states/eV per atom
space-group type: C2/m, No. 12

a = 7.437 Å, b = 7.437 Å, c = 7.859 Å
α = 99.70°, β = 99.70°, γ = 122.64°
Element x y z (fractional)
Tl (0.839, 0.161, 0.000)
Ag (0.000, 0.000, 0.500)
Te (0.735, 0.735, 0.703)
Tl (0.161, 0.839, 0.000)
Te (0.089, 0.419, 0.724)
As (0.317, 0.683, 0.500)
Te (0.419, 0.089, 0.724)
As (0.683, 0.317, 0.500)
Te (0.581, 0.911, 0.276)
Te (0.265, 0.265, 0.297)
Te (0.911, 0.581, 0.276)

Entry from Alexandria via LeMat-Bulk: Ba3SnHg6Pb2 after structural relaxation (PBE).

Output
formation energy: -3.75 eV per formula unit
calculated total energy: -1.896 eV/atom
D(E_F): 0.479 states/eV per atom
space-group type: P-3m1, No. 164

a = 6.271 Å, b = 6.271 Å, c = 11.228 Å
α = 90.00°, β = 90.00°, γ = 120.00°
Element x y z (fractional)
Sn (0.000, 0.000, 0.500)
Hg (0.656, 0.828, 0.260)
Hg (0.344, 0.172, 0.740)
Ba (0.333, 0.667, 0.586)
Hg (0.172, 0.828, 0.260)
Pb (0.667, 0.333, 0.079)
Hg (0.828, 0.172, 0.740)
Ba (0.000, 0.000, 0.000)
Hg (0.828, 0.656, 0.740)
Hg (0.172, 0.344, 0.260)
Ba (0.667, 0.333, 0.414)
Pb (0.333, 0.667, 0.921)

Entry from Alexandria via LeMat-Bulk: AgRh after structural relaxation (PBE).

Output
formation energy: 0.49 eV per formula unit
calculated total energy: -4.856 eV/atom
D(E_F): 1.402 states/eV per atom
space-group type: C2/m, No. 12

a = 4.794 Å, b = 4.794 Å, c = 5.061 Å
α = 81.03°, β = 81.03°, γ = 33.87°
Element x y z (fractional)
Rh (0.370, 0.370, 0.911)
Rh (0.630, 0.630, 0.089)
Ag (0.123, 0.123, 0.611)
Ag (0.877, 0.877, 0.389)

Entry from Alexandria via LeMat-Bulk: RbCu2Cl after structural relaxation (PBE).

Output
E_form (uncorrected): 0.58 eV per atom
distance to the lowest polymorph of the same formula: 0.5907 eV/atom
calculated total energy: -2.174 eV/atom
D(E_F): 0.623 states/eV per atom
space-group type: Fm-3m, No. 225

a = 5.219 Å, b = 5.219 Å, c = 5.219 Å
α = 60.00°, β = 60.00°, γ = 60.00°
Element x y z (fractional)
Rb (0.500, 0.500, 0.500)
Cu (0.250, 0.250, 0.250)
Cl (0.000, 0.000, 0.000)
Cu (0.750, 0.750, 0.750)

Entry from Alexandria via LeMat-Bulk: CaMg2Re after structural relaxation (PBE).

Output
formation energy: 1.65 eV per formula unit
distance to the lowest polymorph of the same formula: 0.0036 eV/atom
calculated total energy: -3.997 eV/atom
D(E_F): 0.800 states/eV per atom
space-group type: P2/m, No. 10

a = 4.817 Å, b = 2.848 Å, c = 6.056 Å
α = 79.46°, β = 90.00°, γ = 90.00°
Element x y z (fractional)
Mg (0.000, 0.023, 0.040)
Mg (0.000, 0.477, 0.460)
Re (0.500, 0.250, 0.250)
Ca (0.500, 0.750, 0.750)

Entry from Alexandria via LeMat-Bulk: NaGa2SbF after structural relaxation (PBE).

Output
E_form (uncorrected): -0.30 eV per atom
calculated total energy: -2.978 eV/atom
D(E_F): 0.695 states/eV per atom
space-group type: P4/mmm, No. 123

a = 5.609 Å, b = 4.432 Å, c = 5.609 Å
Cool, when they gave me those estimates they didn't really took the time to look at it, all they said this that it would cost a lot because they would need to replace the whole radiator support, and the radiator support is wielded in, but I got a feeling only the removing upper radiator support is damage, I will try to remove and see.
Sorry to hear about your car's damage. Since you are talking about DIY repair, I assume that you don't have auto insurance collision coverage (or for whatever reason have chosen not to file a claim?)
Between two parts of the article: crystal structures:
The following is a DFT calculation (PBE-GGA) of a relaxed AgHgF2 crystal.

Calculated values
The density of states at the Fermi level comes out at 1.8 states/eV/cell. Its space group is I-42d.

POSCAR file:
```
AgHgF2
1.0
-1.3715 3.1935 4.4022
-4.4977 -2.6502 -2.0507
3.7411 -3.8348 1.6604
Ag Hg F
2 2 4
Direct
0.5000 0.5000 0.0000
0.7500 0.2500 0.5000
0.0000 0.0000 0.0000
0.2500 0.7500 0.5000
0.8636 0.3750 0.9886
0.3864 0.8750 0.0114
0.1250 0.1364 0.5114
0.6250 0.6136 0.4886
```


The following is a DFT calculation (PBE-GGA) of a relaxed AgHg3F crystal.

Calculated values
The density of states at the Fermi level comes out at 2.9 states/eV/cell. Its space group is Pm-3m.

POSCAR file:
```
AgHg3F
1.0
5.0668 0.0000 0.0000
0.0000 5.0668 0.0000
0.0000 0.0000 5.0668
Hg Ag F
3 1 1
Direct
0.0000 0.5000 0.0000
0.0000 0.0000 0.5000
0.5000 0.0000 0.0000
0.5000 0.5000 0.5000
0.0000 0.0000 0.0000
```


The following is a DFT calculation (PBE-GGA) of a relaxed AgHg2F2 crystal.

Calculated values
The density of states at the Fermi level comes out at 4.0 states/eV/cell. Its space group is P4/mbm.

POSCAR file:
```
AgHg2F2
1.0
-0.2460 5.7846 4.7671
-5.5152 3.0905 -4.0347
-2.0511 -1.4699 1.6778
Hg Ag F
4 2 4
Direct
0.1655 0.6655 0.5000
0.6655 0.8345 0.5000
0.8345 0.3345 0.5000
0.3345 0.1655 0.5000
0.0000 0.0000 0.0000
0.5000 0.5000 0.0000
0.3729 0.8729 0.0000
0.8729 0.6271 0.0000
0.6271 0.1271 0.0000
0.1271 0.3729 0.0000
```


Distance to the lowest polymorph of the same formula for every record listed, in sequence, given in eV per atom: 0.020 0.156 0.241.
Formation energy (no corrections) for every record listed, in sequence, given in meV/atom: -922 5 -611.

----------

A plane-wave DFT calculation with PBE with a Hubbard U was carried out for a relaxed Na2NiSeF crystal.

Geometry as POSCAR:
```
Na2NiSeF
1.0
5.4699 0.0000 0.0000
0.0000 4.3544 0.0000
0.0000 0.0000 5.4699
Na Se Ni F
2 1 1 1
direct
0.0000 0.0000 0.5000
0.5000 0.0000 0.0000
0.0000 0.0000 0.0000
0.0000 0.5000 0.0000
0.5000 0.5000 0.5000
```

Energy relative to the lowest polymorph listed for this composition = 0 meV/atom
V = 130.3 Å³/f.u.
Uncorrected energy = -14.01 eV for the cell shown

----------

1.
Here is HoEr2Hf after structural relaxation from the Alexandria database. Energies are from PBE.

a = 4.8115 Å, b = 4.8072 Å, c = 4.8072 Å
α = 90.00°, β = 90.00°, γ = 90.00°
With the nearest neighbours (Å) after each atom.
Fractional positions:
Hf 0.5000 0.0000 0.0000  4 Ho 3.40, 8 Er 3.40
Ho 0.5000 0.5000 0.5000  4 Hf 3.40, 8 Er 3.40
Er 0.0000 0.0000 0.5000  4 Er 3.40, 4 Hf 3.40, 4 Ho 3.40
Er 0.0000 0.5000 0.0000  4 Er 3.40, 4 Hf 3.40, 4 Ho 3.40

Properties
- Formation enthalpy at 0 K: 132 meV per atom
- SG: P4/mmm
- ΔE to the lowest computed polymorph: 0.0351 eV per atom

=====

2.
Here is Ho6Er12Hf after structural relaxation from the Alexandria database. Energies are from PBE.

a = 9.6143 Å, b = 9.6143 Å, c = 9.6143 Å
α = 111.32°, β = 111.32°, γ = 111.32°
The top bracket is easy to remove when it is not damaged. The damage you have does not look too difficult to fix. As long as the radiator is not leaking, and the condenser is OK, you should have no problem. What happened to the hood? Anyway, it should cost much less. You probably can remove the part that is there, and bend/bang it back so that you can get the release to work properly and be done with it. Otherwise, you can purchase an aftermarket support for about 1/2 the Totyota part, get the top piece painted to match, and use it.
For the upper radiator support, I'd look around for a salvage part. Plug In Hybrid Electric Vehicle PHEV specializes in salvage Prius parts. If you want new, there are several Toyota parts sources on the web; Toyota Scion Parts Accessories Discounted Prices - Metrotpn and are two that I have used before.
Hi I'm new to the chat group. When you say repair manual, is that Chilton's or some other manual. I have a Haynes manual that doesnt seem very clear on removing the radiator or in this case a bent radiator core support, there are no clear illustrations in the Haynes manual. I am interested in a repair manual that is clearer, thanks.
I was referring to the Toyota factory service manual. There is also a factory body repair manual. You can find them online at Toyota TIS but you have to subscribe and pay a fee to view the material.
Thanks, I have one more question. If I sign up for the 2 day subscription would I be able to print out pages relevant to my project. Thanks again.
Yes, I basically downloaded all of the sections I wanted. For 2007 (and earlier) the material is in PDF so you can download it to your computer. I think that they may have changed format for later models, but I haven't been on there for many years.
These calculated crystals were left in the entry by mistake.
Entry 1:
Below is a crystal of SbRuRh3 relaxed with PBEsol, with properties calculated at the SCAN level.

The calculation puts the magnetic moment at 0.0 μB per cell. For the final energy, the calculation gives -33.507 eV per atom. For the formation energy from raw total energies, the calculation gives 1.174 eV per atom.

The space group is Pm-3m (No. 221) and the conventional cell measures 4.598, 4.598 and 4.598 Å, with angles of 90.00, 90.00 and 90.00 degrees. The distinct sites, in fractional coordinates, are Sb at (0.000, 0.000, 0.000), Ru at (0.500, 0.500, 0.500) and Rh at (0.000, 0.500, 0.500).

---

Entry 2:
Below is a crystal of Sc2RuRh relaxed with PBEsol, with properties calculated at the SCAN level.

The calculation puts the magnetic moment at 0.0 μB per cell. For the formation energy, the calculation gives -0.938 eV per atom. For the final energy, the calculation gives -25.205 eV per atom.

The space group is Fm-3m (No. 225) and the conventional cell measures 6.339, 6.339 and 6.339 Å, with angles of 90.00, 90.00 and 90.00 degrees. The distinct sites, in fractional coordinates, are Sc at (0.250, 0.250, 0.250), Ru at (0.000, 0.000, 0.000) and Rh at (0.000, 0.000, 0.500).

---

Entry 3:
Below is a crystal of ScRuRh2 relaxed with PBEsol, with properties calculated at the SCAN level.

The calculation puts the magnetic moment at 13.9 μB per cell. For the formation energy, the calculation gives -0.290 eV per atom. For the final energy, the calculation gives -29.442 eV per atom.

The space group is Fm-3m (No. 225) and the conventional cell measures 6.217, 6.217 and 6.217 Å, with angles of 90.00, 90.00 and 90.00 degrees. The distinct sites, in fractional coordinates, are Sc at (0.000, 0.000, 0.000), Ru at (0.000, 0.000, 0.500) and Rh at (0.250, 0.250, 0.250).

---

Entry 4:
Below is a crystal of Sc2RuRh relaxed with PBEsol, with properties calculated at the SCAN level.

The calculation puts the magnetic moment at 0.0 μB per cell. For the formation energy, the calculation gives -0.481 eV per atom. For the final energy, the calculation gives -24.749 eV per atom.

The space group is R-3m (No. 166, hexagonal axes) and the conventional cell measures 3.0839, 3.0839 and 24.0071 Å, with angles of 90.00, 90.00 and 120.00 degrees. The distinct sites, in fractional coordinates, are Sc at (0.0000, 0.0000, 0.2492), Ru at (0.0000, 0.0000, 0.5000) and Rh at (0.0000, 0.0000, 0.0000).

---

Entry 5:
Below is a crystal of Sc2RuRh relaxed with PBEsol, with properties calculated at the SCAN level.

The calculation puts the magnetic moment at 0.0 μB per cell. For the formation energy, the calculation gives -0.934 eV per atom. For the final energy, the calculation gives -25.202 eV per atom.
Thanks for sharing this info about the DIY effort involved. Could you please help confirm one aspect of this effort - does the replacement effort (for the radiator support frame) involve any welding ?